## Data
********
No. 1
Li5BeSeS2 | PBE | relaxed

Cell: 4.5705 4.5705 8.6408 Å, 90.00 90.00 90.00°
Fractional positions:
Li  0.0000  0.0000  0.0000
Li  0.0000  0.5000  0.1974
Li  0.0000  0.5000  0.8026
Li  0.5000  0.0000  0.1974
Li  0.5000  0.0000  0.8026
Be  0.0000  0.0000  0.5000
Se  0.5000  0.5000  0.0000
S  0.0000  0.0000  0.2765
S  0.0000  0.0000  0.7235

Results
E_form (uncorrected): -0.849 eV per atom

=====

No. 2
Li2BeSiS4 | PBE | relaxed

Cell: 6.1423 6.1423 6.1423 Å, 126.57 126.57 78.96°
Fractional positions:
Li  0.0000  0.0000  0.0000
Li  0.7500  0.2500  0.5000
Be  0.5000  0.5000  0.0000
Si  0.2500  0.7500  0.5000
S  0.1754  0.1272  0.5470
S  0.3715  0.8246  0.9518
S  0.5803  0.6285  0.4530
S  0.8728  0.4197  0.0482

Results
E_form (uncorrected): -1.070 eV per atom

=====

No. 3
Li5BeTeS2 | PBE | relaxed

Cell: 4.7095 4.7095 8.6740 Å, 90.00 90.00 90.00°
Fractional positions:
Li  0.0000  0.0000  0.0000
Li  0.0000  0.5000  0.2197
Li  0.0000  0.5000  0.7803
Li  0.5000  0.0000  0.2197
Li  0.5000  0.0000  0.7803
Be  0.0000  0.0000  0.5000
Te  0.5000  0.5000  0.0000
S  0.0000  0.0000  0.2779
S  0.0000  0.0000  0.7221

Results
E_form (uncorrected): -0.819 eV per atom

=====

No. 4
Li2TiBeS | PBE | relaxed

Cell: 4.1278 4.1278 4.5277 Å, 90.00 90.00 90.00°
Fractional positions:
Li  0.0000  0.5000  0.0000
Li  0.5000  0.0000  0.0000
Ti  0.0000  0.0000  0.5000
Be  0.0000  0.0000  0.0000
S  0.5000  0.5000  0.5000

Results
E_form (uncorrected): 0.293 eV per atom

=====

No. 5
LiBeW2S | PBE | relaxed

Cell: 4.4021 4.4021 3.3320 Å, 90.00 90.00 90.00°
Fractional positions:
Li  0.0000  0.0000  0.0000
Be  0.0000  0.0000  0.5000
W  0.0000  0.5000  0.0000
W  0.5000  0.0000  0.0000
S  0.5000  0.5000  0.5000

Results
E_form (uncorrected): 1.450 eV per atom

=====

No. 6
LiYBeS2 | PBE | relaxed

Cell: 4.4335 4.4335 4.6611 Å, 90.00 90.00 90.00°
Fractional positions:
Li  0.0000  0.0000  0.0000
Y  0.0000  0.0000  0.5000
Be  0.5000  0.5000  0.5000
S  0.0000  0.5000  0.0000
S  0.5000  0.0000  0.0000

Results
E_form (uncorrected): 0.178 eV per atom

=====

| no. | ρ (g/cm³) | D(E_F) (states/eV/f.u.) |
| --- | --- | --- |
| 1 | 1.72 | 2.17 |
| 2 | 2.06 | 0.00 |
| 3 | 2.03 | 1.79 |
| 4 | 2.21 | 4.50 |
| 5 | 10.69 | 3.82 |
| 6 | 3.06 | 2.60 |
********

## Exercise
Set down every line above that contains the word "Se".

## Done
Se  0.5000  0.5000  0.0000